Your job: duplicate every line below that contains the word "phase".

┌──
Here is a molecular structure, C16H13ClNiO5S3Sb from the OMol25 dataset. Energies are from ωB97M-V/def2-TZVPD.

Element x y z (Å)
Ni (2.30626, -1.51905, 0.07138)
O (0.64419, 0.00838, -0.39907)
C (-0.67235, -0.51135, -0.25940)
C (-0.54432, -2.12147, -0.20023)
O (-1.57401, -2.78837, -0.32971)
O (0.61421, -2.54082, 0.02127)
C (-1.50160, -0.05362, -1.45451)
C (-2.74225, -0.62136, -1.74297)
C (-3.48516, -0.17691, -2.82485)
C (-3.02364, 0.86428, -3.61611)
C (-1.79691, 1.44170, -3.33132)
C (-1.03885, 0.98021, -2.26537)
C (-1.37394, -0.00798, 0.99834)
C (-2.40160, -0.74026, 1.59173)
C (-3.06357, -0.26040, 2.70962)
C (-2.71932, 0.96509, 3.25981)
C (-1.70907, 1.70674, 2.67203)
C (-1.04313, 1.22713, 1.55400)
H (0.90676, 0.49965, 0.38990)
H (-3.09227, -1.44506, -1.14195)
H (-4.43441, -0.64723, -3.05352)
H (-3.60959, 1.21600, -4.45718)
H (-1.42559, 2.25550, -3.94345)
H (-0.07278, 1.41886, -2.06267)
H (-2.66364, -1.70430, 1.18179)
H (-3.85208, -0.85060, 3.15975)
H (-3.22725, 1.33561, 4.14169)
H (-1.43402, 2.66952, 3.08492)
H (-0.27310, 1.84839, 1.11238)
S (4.62537, -4.26600, 2.63140)
Sb (5.41971, -3.80995, 0.55094)
S (4.35470, -1.86745, -0.70611)
S (3.50495, -3.84471, -1.06749)
Cl (5.29156, 3.24294, 2.01747)
C (4.27975, 2.10299, 0.28614)
C (4.16609, 0.67592, 0.42310)
O (5.11988, -0.05517, 0.00582)
O (3.08389, 0.18330, 0.87681)
H (5.06052, 2.49378, -0.34300)
H (3.39661, 2.69607, 0.45860)

Energy in eV: -119651.4185
Orbital gap (alpha / beta) in eV: 4.46 / 4.36
Net charge: -2
E_LUMO (alpha / beta) in eV: 3.472 / 3.467
2S+1: 2
HOMO energy (alpha / beta) in eV: -0.98 / -0.89

* * * * *

[1]
ORCA calculation (ωB97M-V with the def2-TZVPD basis set) on C2H4N2S3 in the gas phase.

Element x y z (Å)
S  3.1679  0.6863  -0.3947
S  -1.5953  -1.1555  -0.3366
S  -2.3684  1.7343  0.0144
N  -0.2887  -0.5564  0.5147
N  1.9336  -0.0527  0.5016
C  0.8426  -0.1334  -0.1313
C  -2.6698  0.1609  -0.3203
H  0.6652  0.1420  -1.1548
H  -3.6939  -0.1917  -0.5569
H  4.1681  0.2671  0.4032
H  -0.1614  -0.9009  1.4607

Forces on atoms 1 to 6 (eV/Å):
0.689 0.042 0.113
0.356 -0.551 0.331
-0.220 -1.037 -0.146
-0.294 -0.569 0.170
-0.063 0.053 -0.170
0.093 0.001 0.578

Calculated values
LUMO level in eV: -0.540
Multiplicity: 1
SMILES: S=CSN/C=N/S
Relative energy (zero: lowest compared OMol25 entry of this formula, charge and spin) in kcal/mol: 30.0
E_tot in eV: -37623.12347
Charge: 0
Orbital gap in eV: 7.894

Here are the Mulliken charges for atoms 1 to 4, given in e:
1. S -0.14
2. S 0.04
3. S -0.20
4. N -0.25

[2]
ORCA calculation (ωB97M-V with the def2-TZVPD basis set) on a gas-phase ion, C5H12N (charge +1).

Element x y z (Å)
N  -0.8930  0.9350  -1.3078
C  -1.1098  0.9938  1.7467
C  -0.2822  -0.0790  -0.3051
C  2.3082  -1.6830  -0.5690
C  0.9256  -0.6051  -0.7464
C  -1.1208  -0.3074  0.8832
H  2.3674  -2.0364  0.4760
H  -1.5339  1.7104  1.0492
H  -2.0947  -0.4039  0.4950
H  -1.5469  0.3109  -1.7625
H  2.1466  -2.5257  -1.3143
H  -0.7334  -1.2308  1.1425
H  1.2597  0.0575  -1.5861
H  -0.1336  1.2199  -1.9947
H  -1.7917  0.7659  2.6897
H  -0.0721  1.2772  2.2378
H  3.0416  -0.9805  -0.9943
H  -1.3086  1.7199  -0.8455

Forces on atoms 1 to 6 (eV/Å):
2.471 -1.530 -0.287
0.555 -1.975 3.156
3.727 -1.040 -1.471
-3.580 1.277 -0.703
0.198 1.121 -0.516
0.979 2.434 -1.204

Calculated values
LUMO level in eV: -3.512
Multiplicity: 1
SMILES: C/C=C(/[NH3+])CC
Relative energy (zero: lowest compared OMol25 entry of this formula, charge and spin) in kcal/mol: 78.4
E_tot in eV: -6860.15826
Charge: +1
Orbital gap in eV: 10.612

Here are the Mulliken charges for atoms 1 to 4, given in e:
1. N -0.27
2. C -0.84
3. C 0.54
4. C -0.78

[3]
ORCA calculation (ωB97M-V with the def2-TZVPD basis set) on C6H12O3 in the gas phase.

Element x y z (Å)
O  -2.2251  0.0731  0.5969
O  0.3926  0.6681  1.5135
O  -2.8461  0.8143  -0.4643
C  -1.2493  -1.1112  0.0057
C  0.4079  0.7541  0.1572
C  1.1848  -0.7722  -0.5268
C  -0.2228  -0.3051  -0.6843
C  1.7523  -1.6890  0.5186
C  0.6022  2.1260  -0.4187
└──

ORCA calculation (ωB97M-V with the def2-TZVPD basis set) on C2H4N2S3 in the gas phase.
ORCA calculation (ωB97M-V with the def2-TZVPD basis set) on C6H12O3 in the gas phase.